Breathing Life into Cells: Exploring the Mechanics of Cellular Respiration — Part 1 of 5

By Eva Fata

Eva Fata
Insights of Nature
9 min readMar 20, 2024


This is 1st Part in a 5 Part Series I’ve written comparing cellular respiration in normal cells versus cancer cells. In this part, I will be exploring cellular respiration in normal cells. For all parts, please see the links at the bottom of this article.

From Food To Energy

Cellular respiration is how your cells turn glucose and other food molecules into energy mostly in the form of adenosine triphosphate (ATP). These are called catabolic reactions. Catabolic reactions break down larger molecules into smaller pieces.

Cellular respiration can be broken down into 4 stages: glycolysis, pyruvate oxidation, citric acid cycle (Krebs cycle or TCA cycle) and oxidative phosphorylation.

The general chemical formula for cellular respiration is:

C₆H₁₂O₆+6 O₂⟶6 CO₂+6 H₂O + Energy

Cellular respiration

The energy released is in the form of ATP. This equation shows that glucose (C₆H₁₂O₆) and oxygen (O₂) react to form carbon dioxide (CO₂)and water (H₂O) thus releasing energy through the process. Because oxygen is required for this process it is considered aerobic.

Cellular respiration is important because it serves as a powerhouse for every living cell. Through the breakdown of organic molecules specifically glucose, cellular respiration allows for the necessary energy needed in the form of ATP. This energy fuels multiple different cellular processes which are needed for survival ranging from muscle contractions to the synthesis of essential biomolecules. Furthermore, cellular respiration regulates different metabolic pathways, ensures the efficient removal of waste products such as carbon dioxide, and optimizes the use of oxygen which is vital for sustaining life in aerobic organisms. Cellular respiration is a fundamental mechanism for the growth, survival and functionality of all living organisms.

Step 1. Glycolysis

Overview of glycolysis

This is how your cells get energy from the sugar you eat. In this step, the 6 carbon molecules break down into two separate pyruvate (also known as pyruvic acid) molecules which are in pairs of three. 2 molecules of ATP are made and 2 molecules of NADH. Within glycolysis, there are 2 phases.

The first phase/half of glycolysis is the “energy-requiring steps” and the second half is the “energy-releasing steps”. The first half prepares the six-carbon ring form of glucose for breaking down into two 3 carbon sugars. 2ATPs are used in this half to provide the needed energy for separation. The second half of glycolysis takes ATP and high-energy electrons from hydrogen atoms and then attaches them to NAD+. There are 2 ATP molecules which are used in the first half and four ATP molecules which get formed by substrate phosphorylation in the second half. This then further produces two ATP and two NADH molecules for the cell.

A deeper dive into this amazing process can be found HERE

Step 2. Pyruvate Oxidation

Pyruvate oxidation. This is a key process that connects glycolysis to the rest of the whole cellular respiration process. So as you remember from the last step above, glycolysis, there are 2 pyruvate molecules left which contain lots of energy. So this step helps retrieve the energy left in it, in the form of ATP. In prokaryotes (bacteria, archaea) this happens in the cytoplasm, and for eukaryotes (us, humans, animals, fungi) it happens in the matrix which is the innermost compartment within the mitochondria.

The overall goal of pyruvate oxidation is to convert pyruvate (a three-carbon molecule) into acetyl CoA a two-carbon molecule attached to coenzyme A which produces NADH and releases carbon dioxide in the process. Acetyl CoA will act as a fuel in the next stage which is the citric acid cycle (Krebs cycle).

Here is an overview of the whole process:

The process of pyruvate oxidation
  1. A carboxyl group is removed from pyruvate, which thus releases a molecule of carbon dioxide into the surrounding environment. This then results in a two-carbon hydroxyethyl group attached to the enzyme (pyruvate dehydrogenase). This is one of the six carbon molecules which is extracted from the original glucose molecule. This step occurs twice, (remember that there are two pyruvate molecules from glycolysis) for each molecule of glucose metabolized, which means that 2 out of the 6 carbons will be removed at the end of both steps (glycolysis and pyruvate oxidation).

2. NAD+ is further reduced to NADH. The hydroxyethyl group undergoes oxidation. During the oxidation, the hydroxyethyl loses electrons and is then converted into an acetyl group (two-carbon molecule). The electrons are then picked by the electron carrier molecule NAD+, forming NADH. The high-energy electrons from NADH will later be used to produce ATP.

3. An acetyl group is transferred to coenzyme A (CoA — derived from vitamin B5) which results in acetyl CoA. The enzyme-attached acetyl group is further transported to produce a molecule of acetyl CoA. Acetyl CoA is then transferred to the citric acid cycle (Krebs cycle).

Note: whenever a carbon atom is removed, it is attached to 2 oxygen atoms, which produces carbon dioxide, one of the crucial end products of cellular respiration.

Citric Acid Cycle

The citric acid cycle takes place in the mitochondrial matrix in eukaryotes just like the pyruvate oxidation, in eukaryotes, it takes place in the cytoplasm. The citric acid is a closed loop which means that the molecule, oxaloacetate which is the last part of the cycle is regenerated and used in the first step again, which makes this cycle continuous. This cycle completes the oxidation of glucose by taking the pyruvates from glycolysis (as well as other pathways), by completing reactions and breaking them down into carbon dioxide molecules, and water molecules and generating ATP by oxidative phosphorylation.

Overview of the citric acid cycle

The outcome of the citric acid cycle is the generation of one molecule of GTP which is equivalent to ATP, 2 carbon dioxide molecules. are released, the regeneration of oxaloacetate as well as 3 molecules NADH and 1 molecule of FADH2 which is generated through a redox reaction, which serves as electron carriers to the electron transport chain, in turn fuelling synthesis of ATP. A Deeper dive into this cool pathway can be found HERE and HERE.

Oxidative Phosphorylation

Visual overview of oxidative phosphorylation

Oxidative phosphorylation takes place in the inner mitochondrial membrane and is a key component of cellular respiration.

Oxidative phosphorylation makes approximately 30–32 ATPs — the majority of ATP molecules throughout the whole process. The exact amount of ATP which is produced through oxidative phosphorylation varies depending on factors like the efficiency of the electron transport chain and the availability of oxygen. Oxidative phosphorylation is a critical process in cellular metabolism and serves as a major energy producer in eukaryotic cells. Oxidative phosphorylation ensures a continuous supply of energy which is needed to sustain many cellular processes and maintain cellular homeostasis. In all, oxidative phosphorylation is key for the survival, growth and functionality of aerobic organisms.

This process is made up of two parts: 1) Electron Transport Chain and 2) Chemiosmosis.

The electron transport chain is a collection of membrane-embedded proteins and organic molecules, which are organized into four large complexes labelled I, to IV. These can be found in the inner mitochondrial membrane in eukaryotes and in prokaryotes the electron transport chain components can be found in the plasma membrane.

Visual overview of the electron transport chain

The Main Functions of the Electron Transport Chain are as follows:

  • Regenerates electron carriers. NADH and FADH pass their electrons to the electron transport chain, which turn back into NAD and FAD. This is key because these oxidized forms of the electron carriers will be used in glycolysis and the citric acid cycle and therefore must be available to keep the processes running.
  • Makes a proton gradient. The transport chain builds and proton gradient across the inner mitochondrial membrane, with a larger concentration of H (H+ ions) in the intermembrane area and a lower concentration in the matrix of the mitochondria. This is a stored form of energy which can be used to make ATP.

Chemiosmosis (proton motive force):

In chemiosmosis, the protons travel down their electrochemical gradient through a portion of the ATP synthase powering it to make ATP — which is the ultimate goal. The complexes I, III, and IV of the electron transport chain are proton pumps. As these electrons move downhill, they capture and release energy and further use it to pump H ions from the matrix into the intermembrane space.

This forms a gradient across the inner mitochondrial membrane, also known as the proton motive force. However, like many ions, these protons cannot pass through the phospholipid bilayer because its core is too hydrophobic (water-fearing). So instead these H ions move down their concentration gradient, with the help of channel proteins which form hydrophilic tunnels across the membrane.

(Inserted here: crystal structures)
........
Record 1
The following is a computed XRD peak list of Rb3ZnIn4. It was derived from the PBE geometry in Alexandria, using Cu Ka.
Intensities are scaled so that the largest is 100.

Structural model:
Cell lengths 6.5032, 14.8276, 6.7793 Å; angles 90.00, 90.00, 90.00 degrees
Space group Pmmn (No. 59, origin choice 2)
Asymmetric unit:
Rb: 0.2500 0.0076 0.2042 (multiplicity 4)
Rb: 0.2500 0.7500 0.5087 (multiplicity 2)
Zn: 0.2500 0.2500 0.3329 (multiplicity 2)
In: 0.0127 0.7500 0.0031 (multiplicity 4)
In: 0.2500 0.1424 0.6868 (multiplicity 4)

Main lines, in order of rising 2θ (10° ≤ 2θ ≤ 80°):
- 2θ 11.94, I 97
- 2θ 14.88, I 40
- 2θ 22.42, I 31
- 2θ 24.01, I 33
- 2θ 27.43, I 44
- 2θ 28.96, I 52
- 2θ 30.34, I 45
- 2θ 30.49, I 46
- 2θ 30.74, I 100
- 2θ 32.85, I 86
- 2θ 38.36, I 38
- 2θ 55.37, I 34

Record 2
The following is a computed XRD peak list of RbZrIn. It was derived from the PBE geometry in Alexandria, using Cu Ka.
Intensities are scaled so that the largest is 100.

Structural model:
Cell lengths 3.4901, 4.1939, 14.4556 Å; angles 89.69, 89.30, 90.00 degrees
Space group P-1 (No. 2)
Asymmetric unit:
Rb: 0.2328 0.2431 0.3439 (multiplicity 2)
Zr: 0.2469 0.2489 0.0592 (multiplicity 2)
In: 0.2586 0.2531 0.8402 (multiplicity 2)

Main lines, in order of rising 2θ (10° ≤ 2θ ≤ 80°):
- 2θ 24.48, I 19
- 2θ 24.62, I 40
- 2θ 28.27, I 21
- 2θ 28.54, I 13
- 2θ 32.62, I 36
- 2θ 32.80, I 35
- 2θ 33.40, I 100
- 2θ 33.93, I 15
- 2θ 35.54, I 29
- 2θ 35.99, I 27
- 2θ 43.15, I 29
- 2θ 52.44, I 18

Record 3
The following is a computed XRD peak list of InReRh6. It was derived from the PBE geometry in Alexandria, using Cu Ka.
Intensities are scaled so that the largest is 100.

Structural model:
Cell lengths 3.8925, 3.8925, 7.8667 Å; angles 90.00, 90.00, 90.00 degrees
Space group P4/mmm (No. 123)
Asymmetric unit:
In: 0.0000 0.0000 0.0000 (multiplicity 1)
Re: 0.0000 0.0000 0.5000 (multiplicity 1)
Rh: 0.0000 0.5000 0.2656 (multiplicity 4)
Rh: 0.5000 0.5000 0.0000 (multiplicity 1)
Rh: 0.5000 0.5000 0.5000 (multiplicity 1)

Main lines, in order of rising 2θ (10° ≤ 2θ ≤ 80°):
- 2θ 11.25, I 7
- 2θ 22.61, I 1
- 2θ 22.85, I 2
- 2θ 25.53, I 2
- 2θ 32.36, I 2
- 2θ 39.98, I 100
- 2θ 46.16, I 16
- 2θ 46.67, I 32
- 2θ 47.91, I 3
- 2θ 67.74, I 20
- 2θ 68.14, I 10
- 2θ 78.11, I 1

Record 4
The following is a computed XRD peak list of ScIn2Re. It was derived from the PBE geometry in Alexandria, using Cu Ka.
Intensities are scaled so that the largest is 100.

Structural model:
Cell lengths 3.8554, 4.4210, 4.5390 Å; angles 90.00, 90.00, 90.00 degrees
Space group Pmmm (No. 47)
Asymmetric unit:
Sc: 0.0000 0.0000 0.0000 (multiplicity 1)
In: 0.0000 0.5000 0.5000 (multiplicity 1)
In: 0.5000 0.0000 0.5000 (multiplicity 1)
Re: 0.5000 0.5000 0.0000 (multiplicity 1)

Main lines, in order of rising 2θ (10° ≤ 2θ ≤ 80°):
- 2θ 20.08, I 10
- 2θ 28.18, I 9
- 2θ 36.72, I 100
- 2θ 39.72, I 20
- 2θ 40.82, I 19
- 2θ 47.15, I 12
- 2θ 58.27, I 13
- 2θ 63.30, I 10
- 2θ 64.10, I 10
- 2θ 70.12, I 15
........

In the inner mitochondrial membrane, the H+ ions only have one channel available to them the protein ATP synthase. ATP synthase is like a turbine in a hydroelectric power plant. However, instead of being turned by water, it is turned by H ions which move through it. As the ATP synthase turns it adds a phosphate to ADP, which produces ATP. This is chemiosmosis, energy extracted from the proton gradient to produce ATP. Chemiosmosis generates about 90% of the ATP.

Hibernating animals such as bears use this process to produce heat rather than ATP to keep them warm!

The total amounts of ATP generated throughout the whole process of cellular respiration is about 30–32 ATP. 2 ATP are made in glycolysis, another 2 are made in the citric acid cycle and the rest come from oxidative phosphorylation

So why is cellular respiration important?

Cellular respiration produces several vital outcomes which are essential for the maintenance of life. Cellular respiration produces ATP which is the main energy currency for cells, which fuels many biochemical processes which are critical for cellular function. Furthermore, cellular respiration generates carbon dioxide and water as byproducts which are then eliminated from the body to maintain proper pH balance and hydration levels. In addition, the heat which is generated during cellular respiration helps regulate body temperature which ensures optimal conditions for enzymatic activity and metabolic processes. In all the outcomes of cellular respiration plays key roles in sustaining cellular function, supporting growth and maintaining overall physiological homeostasis in living organisms.

Next Articles in The Series

To explore the next parts of the series: Part 2, Part 3, Part 4, Part 5


